_Job_
Could you echo all of the listing further down verbatim?

_Material_
~~~
(1)
# Tb2Pm4Er
Simulated powder diffractogram, CuKα. Input: a GGA-PBE-relaxed structure.
Intensities are scaled so that the largest is 100.

Peak list (10 most intense, 2θ = 10–90°, most intense first)
d_spacing, I/Imax
3.032, 100
2.868, 59
2.668, 58
2.621, 21
1.523, 20
1.603, 15
1.886, 14
2.363, 12
1.577, 12
2.733, 10

```
data_Tb2Pm4Er
_chemical_formula_sum 'Tb4 Pm8 Er2'
_space_group_name_H-M_alt 'P 1'
_space_group_IT_number 1
_cell_length_a 6.2647
_cell_length_b 6.2647
_cell_length_c 15.6006
_cell_angle_alpha 90.00
_cell_angle_beta 90.00
_cell_angle_gamma 129.55
loop_
_space_group_symop_operation_xyz
'x,y,z'
loop_
_atom_site_label
_atom_site_type_symbol
_atom_site_fract_x
_atom_site_fract_y
_atom_site_fract_z
_atom_site_occupancy
Tb1 Tb 0.1071 0.8929 0.8439 1
Tb2 Tb 0.3929 0.6071 0.3439 1
Tb3 Tb 0.6071 0.3929 0.6561 1
Tb4 Tb 0.8929 0.1071 0.1561 1
Pm1 Pm 0.0983 0.9017 0.3062 1
Pm2 Pm 0.2042 0.7958 0.0701 1
Pm3 Pm 0.2958 0.7042 0.5701 1
Pm4 Pm 0.4017 0.5983 0.8062 1
Pm5 Pm 0.5983 0.4017 0.1938 1
Pm6 Pm 0.7042 0.2958 0.4299 1
Pm7 Pm 0.7958 0.2042 0.9299 1
Pm8 Pm 0.9017 0.0983 0.6938 1
Er1 Er 0.0000 0.0000 0.5000 1
Er2 Er 0.5000 0.5000 0.0000 1
```

=====

(2)
# Tb4PmEr6
Simulated powder diffractogram, CuKα. Input: a GGA-PBE-relaxed structure.
Intensities are scaled so that the largest is 100.

Peak list (10 most intense, 2θ = 10–90°, most intense first)
d_spacing, I/Imax
2.791, 100
2.925, 64
2.823, 54
2.913, 38
2.675, 35
2.027, 28
1.623, 20
1.632, 16
1.530, 14
2.665, 12

```
data_Tb4PmEr6
_chemical_formula_sum 'Tb8 Pm2 Er12'
_space_group_name_H-M_alt 'P 1'
_space_group_IT_number 1
_cell_length_a 5.5815
_cell_length_b 5.5815
_cell_length_c 25.6032
_cell_angle_alpha 90.00
_cell_angle_beta 90.00
_cell_angle_gamma 119.24
loop_
_space_group_symop_operation_xyz
'x,y,z'
loop_
_atom_site_label
_atom_site_type_symbol
_atom_site_fract_x
_atom_site_fract_y
_atom_site_fract_z
_atom_site_occupancy
Tb1 Tb 0.0139 0.9861 0.6213 1
Tb2 Tb 0.0139 0.9861 0.8787 1
Tb3 Tb 0.3376 0.6624 0.5420 1
Tb4 Tb 0.3376 0.6624 0.9580 1
Tb5 Tb 0.6624 0.3376 0.0420 1
Tb6 Tb 0.6624 0.3376 0.4580 1
Tb7 Tb 0.9861 0.0139 0.1213 1
Tb8 Tb 0.9861 0.0139 0.3787 1
Pm1 Pm 0.3232 0.6768 0.2500 1
Pm2 Pm 0.6768 0.3232 0.7500 1
Er1 Er 0.0000 0.0000 0.0000 1
Er2 Er 0.0000 0.0000 0.5000 1
Er3 Er 0.0108 0.9892 0.7500 1
Er4 Er 0.3223 0.6777 0.1030 1
Er5 Er 0.3223 0.6777 0.3970 1
Er6 Er 0.3450 0.6550 0.6812 1
Er7 Er 0.3450 0.6550 0.8188 1
Er8 Er 0.6550 0.3450 0.1812 1
Er9 Er 0.6550 0.3450 0.3188 1
Er10 Er 0.6777 0.3223 0.6030 1
Er11 Er 0.6777 0.3223 0.8970 1
Er12 Er 0.9892 0.0108 0.2500 1
```

=====

(3)
# Tb3Pm3Er8
Simulated powder diffractogram, CuKα. Input: a GGA-PBE-relaxed structure.
Intensities are scaled so that the largest is 100.

Peak list (10 most intense, 2θ = 10–90°, most intense first)
d_spacing, I/Imax
2.806, 100
2.642, 54
2.799, 48
2.991, 32
2.910, 28
2.021, 20
1.620, 19
1.483, 15
3.064, 12
1.510, 12

```
data_Tb3Pm3Er8
_chemical_formula_sum 'Tb3 Pm3 Er8'
_space_group_name_H-M_alt 'P 1'
_space_group_IT_number 1
_cell_length_a 9.6292
_cell_length_b 9.6292
_cell_length_c 5.6175
_cell_angle_alpha 106.91
_cell_angle_beta 106.91
_cell_angle_gamma 102.00
loop_
_space_group_symop_operation_xyz
'x,y,z'
loop_
_atom_site_label
_atom_site_type_symbol
_atom_site_fract_x
_atom_site_fract_y
_atom_site_fract_z
_atom_site_occupancy
Tb1 Tb 0.0000 0.0000 0.0000 1
Tb2 Tb 0.2968 0.2968 0.2961 1
Tb3 Tb 0.7032 0.7032 0.7039 1
Pm1 Pm 0.3161 0.6839 0.5000 1
Pm2 Pm 0.5000 0.5000 0.0000 1
Pm3 Pm 0.6839 0.3161 0.5000 1
Er1 Er 0.0550 0.2609 0.6579 1
Er2 Er 0.0603 0.6187 0.8395 1
Er3 Er 0.2609 0.0550 0.6579 1
Er4 Er 0.3813 0.9397 0.1605 1
Er5 Er 0.6187 0.0603 0.8395 1
Er6 Er 0.7391 0.9450 0.3421 1
Er7 Er 0.9397 0.3813 0.1605 1
Er8 Er 0.9450 0.7391 0.3421 1
```

=====

(4)
# TbPm12Er7
Simulated powder diffractogram, CuKα. Input: a GGA-PBE-relaxed structure.
Intensities are scaled so that the largest is 100.

Peak list (10 most intense, 2θ = 10–90°, most intense first)
d_spacing, I/Imax
~~~

_Response_
(1)
# Tb2Pm4Er
Simulated powder diffractogram, CuKα. Input: a GGA-PBE-relaxed structure.
Intensities are scaled so that the largest is 100.

Peak list (10 most intense, 2θ = 10–90°, most intense first)
d_spacing, I/Imax
3.032, 100
2.868, 59
2.668, 58
2.621, 21
1.523, 20
1.603, 15
1.886, 14
2.363, 12
1.577, 12
2.733, 10

```
data_Tb2Pm4Er
_chemical_formula_sum 'Tb4 Pm8 Er2'
_space_group_name_H-M_alt 'P 1'
_space_group_IT_number 1
_cell_length_a 6.2647
_cell_length_b 6.2647
_cell_length_c 15.6006
_cell_angle_alpha 90.00
_cell_angle_beta 90.00
_cell_angle_gamma 129.55
loop_
_space_group_symop_operation_xyz
'x,y,z'
loop_
_atom_site_label
_atom_site_type_symbol
_atom_site_fract_x
_atom_site_fract_y
_atom_site_fract_z
_atom_site_occupancy
Tb1 Tb 0.1071 0.8929 0.8439 1
Tb2 Tb 0.3929 0.6071 0.3439 1
Tb3 Tb 0.6071 0.3929 0.6561 1
Tb4 Tb 0.8929 0.1071 0.1561 1
Pm1 Pm 0.0983 0.9017 0.3062 1
Pm2 Pm 0.2042 0.7958 0.0701 1
Pm3 Pm 0.2958 0.7042 0.5701 1
Pm4 Pm 0.4017 0.5983 0.8062 1
Pm5 Pm 0.5983 0.4017 0.1938 1
Pm6 Pm 0.7042 0.2958 0.4299 1
Pm7 Pm 0.7958 0.2042 0.9299 1
Pm8 Pm 0.9017 0.0983 0.6938 1
Er1 Er 0.0000 0.0000 0.5000 1
Er2 Er 0.5000 0.5000 0.0000 1
```

=====

(2)
# Tb4PmEr6
Simulated powder diffractogram, CuKα. Input: a GGA-PBE-relaxed structure.
Intensities are scaled so that the largest is 100.

Peak list (10 most intense, 2θ = 10–90°, most intense first)
d_spacing, I/Imax
2.791, 100
2.925, 64
2.823, 54
2.913, 38
2.675, 35
2.027, 28
1.623, 20
1.632, 16
1.530, 14
2.665, 12

```
data_Tb4PmEr6
_chemical_formula_sum 'Tb8 Pm2 Er12'
_space_group_name_H-M_alt 'P 1'
_space_group_IT_number 1
_cell_length_a 5.5815
_cell_length_b 5.5815
_cell_length_c 25.6032
_cell_angle_alpha 90.00
_cell_angle_beta 90.00
_cell_angle_gamma 119.24
loop_
_space_group_symop_operation_xyz
'x,y,z'
loop_
_atom_site_label
_atom_site_type_symbol
_atom_site_fract_x
_atom_site_fract_y
_atom_site_fract_z
_atom_site_occupancy
Tb1 Tb 0.0139 0.9861 0.6213 1
Tb2 Tb 0.0139 0.9861 0.8787 1
Tb3 Tb 0.3376 0.6624 0.5420 1
Tb4 Tb 0.3376 0.6624 0.9580 1
Tb5 Tb 0.6624 0.3376 0.0420 1
Tb6 Tb 0.6624 0.3376 0.4580 1
Tb7 Tb 0.9861 0.0139 0.1213 1
Tb8 Tb 0.9861 0.0139 0.3787 1
Pm1 Pm 0.3232 0.6768 0.2500 1
Pm2 Pm 0.6768 0.3232 0.7500 1
Er1 Er 0.0000 0.0000 0.0000 1
Er2 Er 0.0000 0.0000 0.5000 1
Er3 Er 0.0108 0.9892 0.7500 1
Er4 Er 0.3223 0.6777 0.1030 1
Er5 Er 0.3223 0.6777 0.3970 1
Er6 Er 0.3450 0.6550 0.6812 1
Er7 Er 0.3450 0.6550 0.8188 1
Er8 Er 0.6550 0.3450 0.1812 1
Er9 Er 0.6550 0.3450 0.3188 1
Er10 Er 0.6777 0.3223 0.6030 1
Er11 Er 0.6777 0.3223 0.8970 1
Er12 Er 0.9892 0.0108 0.2500 1
```

=====

(3)
# Tb3Pm3Er8
Simulated powder diffractogram, CuKα. Input: a GGA-PBE-relaxed structure.
Intensities are scaled so that the largest is 100.

Peak list (10 most intense, 2θ = 10–90°, most intense first)
d_spacing, I/Imax
2.806, 100
2.642, 54
2.799, 48
2.991, 32
2.910, 28
2.021, 20
1.620, 19
1.483, 15
3.064, 12
1.510, 12

```
data_Tb3Pm3Er8
_chemical_formula_sum 'Tb3 Pm3 Er8'
_space_group_name_H-M_alt 'P 1'
_space_group_IT_number 1
_cell_length_a 9.6292
_cell_length_b 9.6292
_cell_length_c 5.6175
_cell_angle_alpha 106.91
_cell_angle_beta 106.91
_cell_angle_gamma 102.00
loop_
_space_group_symop_operation_xyz
'x,y,z'
loop_
_atom_site_label
_atom_site_type_symbol
_atom_site_fract_x
_atom_site_fract_y
_atom_site_fract_z
_atom_site_occupancy
Tb1 Tb 0.0000 0.0000 0.0000 1
Tb2 Tb 0.2968 0.2968 0.2961 1
Tb3 Tb 0.7032 0.7032 0.7039 1
Pm1 Pm 0.3161 0.6839 0.5000 1
Pm2 Pm 0.5000 0.5000 0.0000 1
Pm3 Pm 0.6839 0.3161 0.5000 1
Er1 Er 0.0550 0.2609 0.6579 1
Er2 Er 0.0603 0.6187 0.8395 1
Er3 Er 0.2609 0.0550 0.6579 1
Er4 Er 0.3813 0.9397 0.1605 1
Er5 Er 0.6187 0.0603 0.8395 1
Er6 Er 0.7391 0.9450 0.3421 1
Er7 Er 0.9397 0.3813 0.1605 1
Er8 Er 0.9450 0.7391 0.3421 1
```

=====

(4)
# TbPm12Er7
Simulated powder diffractogram, CuKα. Input: a GGA-PBE-relaxed structure.
Intensities are scaled so that the largest is 100.

Peak list (10 most intense, 2θ = 10–90°, most intense first)
d_spacing, I/Imax